Ephemeral Volumes

Some application need additional storage but don’t care whether that data is stored persistently across restarts. For example, caching services are often limited by memory size and can move infrequently used data into storage that is slower than memory with little impact on overall performance.

Other applications expect some read-only input data to be present in files, like configuration data or secret keys.

Ephemeral volumes are designed for these use cases. Because volumes follow the Pod’s lifetime and get created and deleted along with the Pod, Pods can be stopped and restarted without being limited to where some persistent volume is available.

Ephemeral volumes are specified inline in the Pod spec, which simplifies application deployment and management.

Kubernetes supports several different kinds of ephemeral volumes for different purposes:

  • emptyDir: empty at Pod startup, with storage coming locally from the kubelet base directory (usually the root disk) or RAM
  • , downwardAPI, : inject different kinds of Kubernetes data into a Pod
  • CSI ephemeral volumes: similar to the previous volume kinds, but provided by special which specifically support this feature
  • , which can be provided by all storage drivers that also support persistent volumes

, configMap, downwardAPI, secret are provided as local ephemeral storage. They are managed by kubelet on each node.

CSI ephemeral volumes must be provided by third-party CSI storage drivers.

Generic ephemeral volumes can be provided by third-party CSI storage drivers, but also by any other storage driver that supports dynamic provisioning. Some CSI drivers are written specifically for CSI ephemeral volumes and do not support dynamic provisioning: those then cannot be used for generic ephemeral volumes.

The advantage of using third-party drivers is that they can offer functionality that Kubernetes itself does not support, for example storage with different performance characteristics than the disk that is managed by kubelet, or injecting different data.

• Here the text breaks off for calculated crystals:
Record 1
Computed powder diffraction line list of Cu5Ag4 for copper Kα, from a cell relaxed with PBE.
Peak positions follow from Bragg's law for the DFT cell and can differ from measured ones.

Crystal structure
```
Cu5Ag4
1.0
7.025 -1.390 0.000
7.025 1.390 0.000
-0.263 0.000 6.689
Cu Ag
5 4
direct
0.000 0.000 0.000 Cu
0.438 0.438 0.684 Cu
0.552 0.552 0.312 Cu
0.656 0.656 0.995 Cu
0.776 0.776 0.661 Cu
0.104 0.104 0.662 Ag
0.214 0.214 0.328 Ag
0.327 0.327 0.987 Ag
0.894 0.894 0.347 Ag
```

Principal peaks in the range 10° ≤ 2θ ≤ 90°, low angle first:
- 40.33 deg, d = 2.236 Å, intensity 100
- 40.45 deg, d = 2.230 Å, intensity 32
- 46.24 deg, d = 1.963 Å, intensity 44
- 48.34 deg, d = 1.883 Å, intensity 18
- 69.05 deg, d = 1.360 Å, intensity 12
- 81.61 deg, d = 1.180 Å, intensity 22

Record 2
Computed powder diffraction line list of MgZrBi2Pt2 for copper Kα, from a cell relaxed with PBE.
Peak positions follow from Bragg's law for the DFT cell and can differ from measured ones.

Crystal structure
```
MgZrBi2Pt2
1.0
-3.263 3.263 6.541
3.263 -3.263 6.541
3.263 3.263 -6.541
Mg Zr Bi Pt
2 2 4 4
direct
0.000 0.000 0.000 Mg
0.750 0.250 0.500 Mg
0.250 0.750 0.500 Zr
0.500 0.500 0.000 Zr
0.244 0.244 0.000 Bi
0.506 0.006 0.500 Bi
0.756 0.756 0.000 Bi
0.994 0.494 0.500 Bi
0.138 0.625 0.013 Pt
0.375 0.388 0.513 Pt
0.612 0.125 0.987 Pt
0.875 0.862 0.487 Pt
```

Principal peaks in the range 10° ≤ 2θ ≤ 90°, low angle first:
- 23.60 deg, d = 3.770 Å, intensity 67
- 39.01 deg, d = 2.309 Å, intensity 100
- 46.10 deg, d = 1.969 Å, intensity 35
- 61.94 deg, d = 1.498 Å, intensity 15
- 70.60 deg, d = 1.334 Å, intensity 12
- 70.70 deg, d = 1.332 Å, intensity 23

Record 3
Computed powder diffraction line list of Tm2In2Ga6Co for copper Kα, from a cell relaxed with PBE.
Peak positions follow from Bragg's law for the DFT cell and can differ from measured ones.

Crystal structure
```
Tm2In2Ga6Co
1.0
4.349 0.000 0.000
0.000 4.349 0.000
0.000 0.000 11.077
Tm In Ga Co
2 2 6 1
direct
0.000 0.000 0.196 Tm
0.000 0.000 0.804 Tm
0.500 0.500 0.193 In
0.500 0.500 0.807 In
0.000 0.500 0.000 Ga
0.000 0.500 0.385 Ga
0.000 0.500 0.615 Ga
0.500 0.000 0.000 Ga
0.500 0.000 0.385 Ga
0.500 0.000 0.615 Ga
0.000 0.000 0.500 Co
```

Principal peaks in the range 10° ≤ 2θ ≤ 90°, low angle first:
- 33.32 deg, d = 2.689 Å, intensity 60
- 38.08 deg, d = 2.363 Å, intensity 100
- 41.53 deg, d = 2.175 Å, intensity 60
- 59.57 deg, d = 1.552 Å, intensity 29
- 73.47 deg, d = 1.289 Å, intensity 28
- 75.24 deg, d = 1.263 Å, intensity 28

Record 4
Computed powder diffraction line list of TbFeBr7 for copper Kα, from a cell relaxed with PBE.
Peak positions follow from Bragg's law for the DFT cell and can differ from measured ones.

Crystal structure
```
TbFeBr7
1.0
6.835 0.000 0.000
1.160 8.962 0.000
2.625 0.753 10.444
Tb Fe Br
2 2 14
direct
0.000 0.000 0.000 Tb
0.241 0.432 0.439 Tb
0.541 0.630 0.032 Fe
0.815 0.062 0.454 Fe
0.030 0.425 0.685 Br
0.138 0.252 0.041 Br
0.156 0.121 0.409 Br
0.236 0.965 0.763 Br
• So much for the calculated crystals:

CSI ephemeral volumes

This feature requires the CSIInlineVolume feature gate to be enabled. It is enabled by default starting with Kubernetes 1.16.

Note: CSI ephemeral volumes are only supported by a subset of CSI drivers. The Kubernetes CSI shows which drivers support ephemeral volumes.

Conceptually, CSI ephemeral volumes are similar to configMap, downwardAPI and secret volume types: the storage is managed locally on each node and is created together with other local resources after a Pod has been scheduled onto a node. Kubernetes has no concept of rescheduling Pods anymore at this stage. Volume creation has to be unlikely to fail, otherwise Pod startup gets stuck. In particular, storage capacity aware Pod scheduling is not supported for these volumes. They are currently also not covered by the storage resource usage limits of a Pod, because that is something that kubelet can only enforce for storage that it manages itself.

Here’s an example manifest for a Pod that uses CSI ephemeral storage:

The volumeAttributes determine what volume is prepared by the driver. These attributes are specific to each driver and not standardized. See the documentation of each CSI driver for further instructions.

As a cluster administrator, you can use a to control which CSI drivers can be used in a Pod, specified with the allowedCSIDrivers field.

Generic ephemeral volumes

FEATURE STATE: Kubernetes v1.23 [stable]

Generic ephemeral volumes are similar to emptyDir volumes in the sense that they provide a per-pod directory for scratch data that is usually empty after provisioning. But they may also have additional features:

  • Storage can be local or network-attached.
  • Volumes may have some initial data, depending on the driver and parameters.
  • Typical operations on volumes are supported assuming that the driver supports them, including snapshotting, , resizing, and .


  1. kind: Pod
  2. apiVersion: v1
  3. name: my-app
  4. spec:
  5. containers:
  6. - name: my-frontend
  7. image: busybox
  8. volumeMounts:
  9. - mountPath: "/scratch"
  10. name: scratch-volume
  11. command: [ "sleep", "1000000" ]
  12. volumes:
  13. ephemeral:
  14. volumeClaimTemplate:
  15. labels:
  16. type: my-frontend-volume
  17. spec:
  18. accessModes: [ "ReadWriteOnce" ]
  19. storageClassName: "scratch-storage-class"
  20. resources:
  21. requests:
  22. storage: 1Gi

That triggers volume binding and/or provisioning, either immediately if the StorageClass uses immediate volume binding or when the Pod is tentatively scheduled onto a node (WaitForFirstConsumer volume binding mode). The latter is recommended for generic ephemeral volumes because then the scheduler is free to choose a suitable node for the Pod. With immediate binding, the scheduler is forced to select a node that has access to the volume once it is available.

In terms of , a Pod that has generic ephemeral storage is the owner of the PersistentVolumeClaim(s) that provide that ephemeral storage. When the Pod is deleted, the Kubernetes garbage collector deletes the PVC, which then usually triggers deletion of the volume because the default reclaim policy of storage classes is to delete volumes. You can create quasi-ephemeral local storage using a StorageClass with a reclaim policy of retain: the storage outlives the Pod, and in this case you need to ensure that volume clean up happens separately.

While these PVCs exist, they can be used like any other PVC. In particular, they can be referenced as data source in volume cloning or snapshotting. The PVC object also holds the current status of the volume.

PersistentVolumeClaim naming

Naming of the automatically created PVCs is deterministic: the name is a combination of Pod name and volume name, with a hyphen (-) in the middle. In the example above, the PVC name will be my-app-scratch-volume. This deterministic naming makes it easier to interact with the PVC because one does not have to search for it once the Pod name and volume name are known.

The deterministic naming also introduces a potential conflict between different Pods (a Pod “pod-a” with volume “scratch” and another Pod with name “pod” and volume “a-scratch” both end up with the same PVC name “pod-a-scratch”) and between Pods and manually created PVCs.

Such conflicts are detected: a PVC is only used for an ephemeral volume if it was created for the Pod. This check is based on the ownership relationship. An existing PVC is not overwritten or modified. But this does not resolve the conflict because without the right PVC, the Pod cannot start.

Caution: Take care when naming Pods and volumes inside the same namespace, so that these conflicts can’t occur.


Enabling the GenericEphemeralVolume feature allows users to create PVCs indirectly if they can create Pods, even if they do not have permission to create PVCs directly. Cluster administrators must be aware of this. If this does not fit their security model, they have two choices:

  • Use a Pod Security Policy where the volumes list does not contain the volume type (deprecated in Kubernetes 1.21).
  • Use an which rejects objects like Pods that have a generic ephemeral volume.

The normal namespace quota for PVCs still applies, so even if users are allowed to use this new mechanism, they cannot use it to circumvent other policies.

CSI ephemeral volumes

Generic ephemeral volumes